File.
Record 1
This record from Alexandria describes a relaxed Ca2Ir3O8 crystal. The functional is GGA-PBE.

a = 5.3721 Å, b = 6.3721 Å, c = 6.3200 Å
α = 120.27°, β = 108.21°, γ = 90.00°
With the nearest neighbours (Å) after each atom.
Sites, in units of the cell vectors:
1 Ca 0.3394 0.2804 0.5607  6 O 2.33-2.47
2 Ca 0.6606 0.7196 0.4393  6 O 2.33-2.47
3 Ir 0.5000 0.0000 0.0000  6 O 2.02-2.09
4 Ir 0.0000 0.2551 0.0000  6 O 1.99-2.08
5 Ir 0.0000 0.7449 0.0000  6 O 1.99-2.08
6 O 0.9432 0.6005 0.2010  2 Ir 1.99
7 O 0.0568 0.3995 0.7990  2 Ir 1.99
8 O 0.9141 0.0971 0.1942  3 Ir 2.08-2.09
9 O 0.0859 0.9029 0.8058  3 Ir 2.08-2.09
10 O 0.6078 0.6748 0.7903  2 Ir 2.01-2.02
11 O 0.6078 0.1156 0.7903  2 Ir 2.01-2.02
12 O 0.3922 0.8844 0.2097  2 Ir 2.01-2.02
13 O 0.3922 0.3252 0.2097  2 Ir 2.01-2.02

Properties
raw total energy: -6.8514 eV/atom
total magnetization: 0.94 μB/f.u.

---

Record 2
This record from Alexandria describes a relaxed CaIrO4 crystal. The functional is GGA-PBE.

a = 5.3058 Å, b = 5.3058 Å, c = 6.8968 Å
α = 112.62°, β = 112.62°, γ = 90.00°
With the nearest neighbours (Å) after each atom.
Sites, in units of the cell vectors:
1 Ca 0.0000 0.0000 0.0000  8 O 2.41-2.52
2 Ca 0.7500 0.2500 0.5000  8 O 2.41-2.52
3 Ir 0.5000 0.5000 0.0000  4 O 1.84
4 Ir 0.2500 0.7500 0.5000  4 O 1.84
5 O 0.0082 0.9221 0.3405  1 Ir 1.84
6 O 0.1684 0.2582 0.8405  1 Ir 1.84
7 O 0.6721 0.5823 0.8405  1 Ir 1.84
8 O 0.3323 0.4184 0.3405  1 Ir 1.84
9 O 0.4177 0.8316 0.1595  1 Ir 1.84
10 O 0.0779 0.6677 0.6595  1 Ir 1.84
11 O 0.5816 0.9918 0.6595  1 Ir 1.84
12 O 0.7418 0.3279 0.1595  1 Ir 1.84

Properties
raw total energy: -6.4116 eV/atom
total magnetization: 0.95 μB/f.u.

---

Record 3
This record from Alexandria describes a relaxed CaIrO6 crystal. The functional is GGA-PBE.

a = 5.1731 Å, b = 5.1731 Å, c = 3.8395 Å
α = 85.62°, β = 85.62°, γ = 99.60°
With the nearest neighbours (Å) after each atom.
Sites, in units of the cell vectors:
1 Ca 0.5000 0.5000 0.5000  8 O 2.42-2.56
2 Ir 0.0000 0.0000 0.0000  6 O 1.88-2.00
3 O 0.1391 0.7623 0.3465  1 O 1.42
4 O 0.7623 0.1391 0.3465  1 O 1.42
5 O 0.2377 0.8609 0.6535  1 O 1.42
6 O 0.8609 0.2377 0.6535  1 O 1.42
7 O 0.2767 0.2767 0.0454  1 Ir 1.88
8 O 0.7233 0.7233 0.9546  1 Ir 1.88

Properties
raw total energy: -6.0417 eV/atom
total magnetization: 0.94 μB/f.u.
Brief.
Return the whole of the material further above word for word.
Completed.
Record 1
This record from Alexandria describes a relaxed Ca2Ir3O8 crystal. The functional is GGA-PBE.

a = 5.3721 Å, b = 6.3721 Å, c = 6.3200 Å
α = 120.27°, β = 108.21°, γ = 90.00°
With the nearest neighbours (Å) after each atom.
Sites, in units of the cell vectors:
1 Ca 0.3394 0.2804 0.5607  6 O 2.33-2.47
2 Ca 0.6606 0.7196 0.4393  6 O 2.33-2.47
3 Ir 0.5000 0.0000 0.0000  6 O 2.02-2.09
4 Ir 0.0000 0.2551 0.0000  6 O 1.99-2.08
5 Ir 0.0000 0.7449 0.0000  6 O 1.99-2.08
6 O 0.9432 0.6005 0.2010  2 Ir 1.99
7 O 0.0568 0.3995 0.7990  2 Ir 1.99
8 O 0.9141 0.0971 0.1942  3 Ir 2.08-2.09
9 O 0.0859 0.9029 0.8058  3 Ir 2.08-2.09
10 O 0.6078 0.6748 0.7903  2 Ir 2.01-2.02
11 O 0.6078 0.1156 0.7903  2 Ir 2.01-2.02
12 O 0.3922 0.8844 0.2097  2 Ir 2.01-2.02
13 O 0.3922 0.3252 0.2097  2 Ir 2.01-2.02

Properties
raw total energy: -6.8514 eV/atom
total magnetization: 0.94 μB/f.u.

---

Record 2
This record from Alexandria describes a relaxed CaIrO4 crystal. The functional is GGA-PBE.

a = 5.3058 Å, b = 5.3058 Å, c = 6.8968 Å
α = 112.62°, β = 112.62°, γ = 90.00°
With the nearest neighbours (Å) after each atom.
Sites, in units of the cell vectors:
1 Ca 0.0000 0.0000 0.0000  8 O 2.41-2.52
2 Ca 0.7500 0.2500 0.5000  8 O 2.41-2.52
3 Ir 0.5000 0.5000 0.0000  4 O 1.84
4 Ir 0.2500 0.7500 0.5000  4 O 1.84
5 O 0.0082 0.9221 0.3405  1 Ir 1.84
6 O 0.1684 0.2582 0.8405  1 Ir 1.84
7 O 0.6721 0.5823 0.8405  1 Ir 1.84
8 O 0.3323 0.4184 0.3405  1 Ir 1.84
9 O 0.4177 0.8316 0.1595  1 Ir 1.84
10 O 0.0779 0.6677 0.6595  1 Ir 1.84
11 O 0.5816 0.9918 0.6595  1 Ir 1.84
12 O 0.7418 0.3279 0.1595  1 Ir 1.84

Properties
raw total energy: -6.4116 eV/atom
total magnetization: 0.95 μB/f.u.

---

Record 3
This record from Alexandria describes a relaxed CaIrO6 crystal. The functional is GGA-PBE.

a = 5.1731 Å, b = 5.1731 Å, c = 3.8395 Å
α = 85.62°, β = 85.62°, γ = 99.60°
With the nearest neighbours (Å) after each atom.
Sites, in units of the cell vectors:
1 Ca 0.5000 0.5000 0.5000  8 O 2.42-2.56
2 Ir 0.0000 0.0000 0.0000  6 O 1.88-2.00
3 O 0.1391 0.7623 0.3465  1 O 1.42
4 O 0.7623 0.1391 0.3465  1 O 1.42
5 O 0.2377 0.8609 0.6535  1 O 1.42
6 O 0.8609 0.2377 0.6535  1 O 1.42
7 O 0.2767 0.2767 0.0454  1 Ir 1.88
8 O 0.7233 0.7233 0.9546  1 Ir 1.88

Properties
raw total energy: -6.0417 eV/atom
total magnetization: 0.94 μB/f.u.